********
No. 1
C5H12NOS | ωB97M-V/def2-TZVPD

Values from the calculation:
Max |F|   2.38 eV/Å
SMILES string   OCCCNCC[S-]
Gap between HOMO and LUMO   5.8 eV
HOMO level   -2.5 eV

```
! RIJCOSX wB97M-V def2-TZVPD def2/J DEFGRID3
* xyz -1 1
C -0.039 1.257 -1.073
C 0.891 0.992 -2.289
O 1.182 -0.341 -2.700
C 0.575 0.431 0.087
N -0.027 0.653 1.407
C -1.202 -0.262 1.635
C -0.974 -1.805 1.501
S -0.078 -2.554 2.993
H 0.083 2.329 -0.914
H -1.077 0.922 -1.051
H 0.527 1.565 -3.174
H 1.826 1.542 -2.079
H 1.010 -0.936 -1.976
H 0.550 -0.616 -0.234
H 1.625 0.725 0.128
H 0.658 0.373 2.100
H -2.010 -0.017 0.942
H -1.454 -0.029 2.669
H -1.901 -2.312 1.231
H -0.164 -1.917 0.797
*
```

Atomic partial charges in e from the natural (NBO) method, atoms 1 to 8: -0.4378 -0.0552 -0.7280 -0.2128 -0.6363 -0.2432 -0.5353 -0.7650

---

No. 2
C21H21N2O7 | ωB97M-V/def2-TZVPD

Values from the calculation:
Max |F|   1.96 eV/Å
Gap between HOMO and LUMO   5.6 eV
HOMO level   -3.6 eV

```
! RIJCOSX wB97M-V def2-TZVPD def2/J DEFGRID3
* xyz -1 1
C -6.235 -1.259 -0.126
N -5.236 -1.544 -1.133
C -5.641 -2.533 -2.109
C -3.925 -1.063 -1.044
C -2.960 -1.736 -0.256
C -1.654 -1.289 -0.211
C -1.258 -0.121 -0.906
C 0.116 0.337 -0.883
C 1.201 -0.463 -1.073
C 2.549 0.175 -1.083
O 2.718 1.364 -0.933
O 3.616 -0.651 -1.350
C 3.430 -2.048 -1.050
C 4.623 -2.810 -1.632
C 3.280 -2.276 0.440
O 2.277 -2.538 -1.773
C 1.107 -1.839 -1.663
O 0.091 -2.323 -2.108
C -2.249 0.603 -1.613
C -3.539 0.117 -1.726
H -5.842 -0.550 0.610
H -7.126 -0.829 -0.605
H -6.540 -2.184 0.385
H -4.817 -2.751 -2.798
H -5.951 -3.462 -1.607
H -6.502 -2.157 -2.680
H -3.258 -2.633 0.291
H -0.910 -1.826 0.380
H 0.311 1.401 -0.804
H 4.688 -2.646 -2.711
H 5.551 -2.475 -1.164
H 4.500 -3.881 -1.449
H 2.427 -1.726 0.850
H 3.150 -3.348 0.623
H 4.198 -1.946 0.939
H -1.947 1.529 -2.110
H -4.287 0.632 -2.334
O 1.309 6.270 1.162
N 2.208 5.839 1.913
O 3.165 6.538 2.307
C 2.153 4.466 2.349
C 3.172 4.005 3.203
C 3.115 2.678 3.657
C 2.104 1.827 3.254
C 1.102 2.223 2.244
O 0.336 1.403 1.690
C 1.124 3.643 1.918
H 3.966 4.689 3.498
H 3.893 2.327 4.338
H 2.043 0.800 3.615
H 0.355 4.046 1.266
*
```

Atomic partial charges in e from the natural (NBO) method, atoms 1 to 8: -0.3909 -0.5006 -0.3902 0.1529 -0.1791 -0.1503 -0.0878 0.0799

---

No. 3
C17H30F3NO3P2Tc | ωB97M-V/def2-TZVPD

Values from the calculation:
Max |F|   4.18 eV/Å
Gap between HOMO and LUMO (spin up / spin down)   6.7 / 6.6 eV
HOMO level (spin up / spin down)   -6.5 / -7.4 eV
Expectation value of S²   3.799

```
! RIJCOSX wB97M-V def2-TZVPD def2/J DEFGRID3
* xyz 0 4
Tc 0.219 -0.040 -0.149
P 2.285 -0.316 -1.170
P -2.046 0.520 0.990
N -0.589 0.154 -1.781
H 0.274 -1.636 -0.045
C 3.020 -1.998 -1.337
H 3.998 -1.942 -1.835
H 2.349 -2.620 -1.944
H 3.146 -2.459 -0.350
C 3.723 0.582 -0.455
H 4.647 0.317 -0.984
H 3.833 0.353 0.611
H 3.547 1.659 -0.562
C 2.421 0.252 -2.909
H 3.445 0.111 -3.285
H 2.165 1.317 -2.961
H 1.724 -0.321 -3.531
C -3.240 -0.787 1.500
H -4.213 -0.364 1.820
H -2.880 -1.438 2.294
H -3.379 -1.412 0.609
C -1.981 1.843 2.250
H -2.977 1.991 2.686
H -1.612 2.791 1.828
H -1.300 1.548 3.035
C -3.170 1.383 -0.181
H -4.116 1.628 0.309
H -3.386 0.756 -1.048
H -2.739 2.314 -0.554
C -1.109 0.288 -3.019
C -2.044 -0.630 -5.128
C -1.532 -0.827 -3.847
C -1.243 1.588 -3.636
C -1.761 1.745 -4.917
C -2.170 0.649 -5.676
H -2.359 -1.489 -5.721
H -1.433 -1.833 -3.435
H -0.912 2.448 -3.053
H -1.851 2.748 -5.330
H -2.580 0.790 -6.677
C 1.971 -0.065 2.450
O 1.577 0.678 1.506
C 2.359 -1.473 2.248
H 2.379 -1.971 3.220
H 3.350 -1.510 1.771
H 1.619 -2.051 1.674
C 2.115 0.484 3.821
H 1.631 -0.158 4.565
H 1.736 1.489 3.899
H 3.175 0.454 4.103
F -0.794 -1.227 5.670
C -1.080 -0.525 4.552
F -2.432 -0.336 4.497
F -0.542 0.731 4.755
C -0.539 -1.241 3.281
O -0.140 -2.396 3.409
O -0.558 -0.547 2.167
*
```

Atomic partial charges in e from the natural (NBO) method, atoms 1 to 8: 0.5830 1.0975 1.0668 -0.5728 -0.0514 -0.9309 0.2279 0.2496

---

No. 4
C11H22N2O3 | ωB97M-V/def2-TZVPD
********

It remains to filter the rows above: keep the lines with the word "S²".

Expectation value of S²   3.799